Participant Directory
In 2006, CESRI Program was able to provide eight grantees the opportunity to go to Central Europe to conduct their scientific research. The Fellows met IIE Staff, and each other, in Budapest for a one-week orientation prior to going to their host countries. Once in their host countries, they were able to conduct research in fields ranging from biology to computer science in Austria, Germany, and the Czech Republic.
To learn more about what CESRI Fellows did in the inaugural and their projects, feel free to read the descriptions below.
Jenelle Bray
Home Institution:California Institute Technology (Ph.D.)
Host Country: Czech Republic
Host Institution: Institute of Organic Chemistry and Biochemistry
Field of Study: Chemistry
Project Description: Ms. Bray performed molecular dynamics simulations to study mutations that cause HIV protease to become drug resistant.
Kari Dilley
Home Institution: Cornell University (Ph.D.)
Host Country: Czech Republic
Host Institution: Institute of Chemical Technology Department of Biochemistry and Microbiology
Field of Study: Biology
Project Description: Ms. Dilley seeked to define the domains of the retrovirus structural protein that are important for determining the site of virus assembly in the cell.
Daniel Heller
Home Institution: University of Illinois, Urbana (Ph.D.)
Host Country: Germany
Host Institution: German Cancer Research Center, Division of Biophysics of Macromolecules
Field of Study: Chemistry
Project Description: Mr. Heller’s project involved single-molecule detection of DNA structural changes on carbon nanotubes.
Grant Johnson
Home Institution: Pennsylvania State University (Ph.D.)
Host Country: Germany
Host Institution: Department of Chemistry, Humboldt-University
Field of Study: Chemistry
Project Description: Mr. Johnson used computational chemistry techniques to predict the geometric and reactive properties of catalytically relevant bimetallic metal oxide cluster ions and to study their reaction mechanisms with carbon monoxide.
Lisa Marx
Home Institution: Northwestern University (M.S.)
Host Country: Austria
Host Institution: University of Vienna, Institute of Ecology & Conservation Biology
Field of Study: Environmental Science
Project Description: Ms. Marx’s research focused on preferential deposition of particular organic carbon on streambed sediments and its affects on microbial biofilm growth.
### Someone pasted records of molecules at this point
-- begin --
The following is a DFT calculation (wB97M-V/def2-TZVPD) of a gas-phase ion, C3H7N2O (charge +1) at a distorted geometry.

```
13
Properties=species:S:1:pos:R:3:nbo_charge:R:1
C -0.614 0.133 0.073 -0.613
C 0.334 0.418 1.285 0.322
C 0.127 -0.668 -1.082 0.698
N 1.631 0.274 1.482 -0.622
N -0.706 -0.825 -2.096 -0.800
O 1.325 -0.766 -1.059 -0.606
H -0.871 1.072 -0.487 0.306
H -0.322 0.780 2.202 0.245
H 1.961 0.440 2.502 0.453
H 2.330 -0.082 0.798 0.486
H -0.329 -1.328 -2.845 0.412
H -1.646 -0.261 0.454 0.286
H -1.741 -0.876 -2.189 0.433
```

HOMO (eV): -14.6591
Total energy (hartree): -302.99096
Spin multiplicity: 1
Kohn-Sham gap (eV): 9.60
Largest force on an atom (eV Å⁻¹): 3.67
SMILES: NC(=O)CC=[NH2+]
Net charge: +1
LUMO (eV): -5.06

The following is a DFT calculation (wB97M-V/def2-TZVPD) of a gas-phase ion, C8H12N4S (charge +2) at a distorted geometry.

```
25
Properties=species:S:1:pos:R:3:nbo_charge:R:1
C -3.655 0.436 0.344 -0.125
C -2.813 1.548 0.617 -0.169
C -3.195 -0.836 0.119 -0.187
C -1.491 1.423 0.596 -0.211
C -1.780 -0.961 0.135 -0.209
C -0.931 0.108 0.336 0.023
C 1.260 0.296 -0.831 0.701
C 0.958 -1.012 1.267 0.427
N 2.581 0.359 -0.726 -0.741
N 0.522 -0.188 0.315 -0.423
N 0.661 0.818 -1.874 -0.655
N 1.934 -1.884 1.138 -0.659
S 3.613 0.911 0.609 0.267
H -4.681 0.630 0.396 0.243
H -3.317 2.530 0.631 0.264
H -3.917 -1.692 -0.022 0.274
H -0.716 2.133 0.626 0.228
H -1.448 -2.009 0.327 0.235
H 0.358 -1.000 2.216 0.283
H 3.193 0.302 -1.513 0.453
H 1.089 1.313 -2.582 0.454
H -0.304 0.718 -1.762 0.443
H 2.481 -1.824 0.202 0.443
H 2.199 -2.613 1.765 0.472
H 4.426 1.546 -0.241 0.169
```

HOMO (eV): -16.6159
Total energy (hartree): -928.58483
Spin multiplicity: 1
Kohn-Sham gap (eV): 7.92
Largest force on an atom (eV Å⁻¹): 4.59
SMILES: [NH2+]=CN(C(=[NH2+])NS)c1ccccc1
Net charge: +2
LUMO (eV): -8.69

The following is a DFT calculation (wB97M-V/def2-TZVPD) of 3 unconnected molecules or ions with the total composition C8H16O at a distorted geometry.

```
25
Properties=species:S:1:pos:R:3:nbo_charge:R:1
C 0.076 1.041 1.128 0.312
C 0.356 -0.599 -0.939 0.150
C -0.450 -0.832 0.103 -0.179
C 0.894 -1.521 0.128 -0.508
C -0.231 0.626 2.544 -0.670
C -0.860 2.058 0.545 -0.669
C 0.865 0.369 -1.924 -0.674
C -0.874 -2.113 -2.028 -0.682
O 1.393 1.510 1.003 -0.728
H 1.990 0.874 1.418 0.475
H -1.479 -0.954 0.398 0.219
H 1.393 -1.453 1.097 0.208
H 1.135 -2.506 -0.270 0.213
H 0.435 -0.171 2.890 0.204
H -0.870 2.982 1.143 0.211
H -1.261 0.275 2.637 0.216
H -0.102 1.469 3.242 0.202
H -0.555 2.347 -0.463 0.221
H -1.883 1.675 0.514 0.216
H 1.430 -0.152 -2.701 0.229
H 0.048 0.921 -2.392 0.223
H 1.554 1.068 -1.441 0.250
H -0.089 -2.452 -2.701 0.187
H -1.258 -2.935 -1.428 0.189
H -1.657 -1.526 -2.502 0.187
```

HOMO (alpha / beta) (eV): -6.5760 / -6.5737
Total energy (hartree): -389.41008
Spin multiplicity: 1
Kohn-Sham gap (alpha / beta) (eV): 7.35 / 7.34
Largest force on an atom (eV Å⁻¹): 5.32
LUMO (alpha / beta) (eV): 0.77 / 0.77
-- stop --
Michael McQuinn
Home Institution: University of Illinois, Urbana (Ph.D.)
Host Country: Germany
Host Institution: University of Dortmund
Field of Study: Computer Science
Project Description: The goal of Mr. McQuinn’s project was to give scientists and engineers the ability to design and validate complex computer systems by exploiting symmetry in the system to reduce the size of the problem.
Michael Walter
Home Institution: Portland State University (Ph.D.)
Host Country: Austria
Host Institution: Linz Institute for Organic Solar Cells (LIOS), Institute of Physical Chemistry, Johannes Kepler University Linz
Field of Study: Chemistry
Project Description: Mr. Walter investigated the construction and efficiency of an organic solar cell based on a conductive electropolymerized porphyrin polymer.
Vance Whitaker
Home Institution: University of Minnesota (M.S.)
Host Country: Germany
Host Institution: Applied Genetics & Plant Breeding, University of Hannover
Field of Study: Biology
Project Description: The goal of Mr. Whitaker’s project was to find candidate genes for disease resistance in roses by identifying resistance gene anologues that are upregulated by rose plants in response to pathogen attack.
In 2007, CESRI Program provided ten grantees the opportunity to go to Central Europe to conduct their scientific research. The Fellows met IIE Staff, and each other, in Budapest for a one-week orientation prior to going to their host countries. Once in their host countries, they were able to conduct research in Austria, Germany, Czech Republic, Poland, Slovakia, and Hungary. With their in-depth projects – from Roman concrete, to the biological effects of acid rain on small stream communities, to making super-fast supercomputers work more efficiently – the ten Fellows made the most of their eight weeks in Central Europe.
Philip Brune
Home Institution: University of Rochester (Ph.D.)
Host Country: Austria
Host Institution:Graz University of Technology
Field of Study: Engineering
Project Description: Mr. Brune conducted non-linear Finite Element Analysis on in Imperial Roman concrete to aid in devising a computer model to predict when and where cracks will appear.
Charity Flener
Home Institution: University of Illinois (Ph.D.)
Host Country: Germany / Slovakia
Host Institution: Phillips-Universitat / Slovak Academy of Sciences
Field of Study: Chemistry
Project Description: Ms. Flener’s project involved creating computational on transition metal compounds, with an eye towards solid-state hydrogen storage.
Eric Hayden
Home Institution: Portland State University (Ph.D.)
Host Country: Hungary / Germany
Host Institution: Collegium Budapest / Ruhr Universitat
Field of Study: Chemistry
Project Description: Mr. Hayden created and conducted computer simulations of a biochemical theory on how life first emerged on Earth, by determining the autoacatalysis of a self-constructing RNA enzyme.
Winnie Liang
Home Institution: Arizona State University (Ph.D.)
Host Country: Germany
'''
Formula: C3H3ClN2O
Source: the Open Molecules 2025 dataset
Level of theory: ωB97M-V/def2-TZVPD

The value obtained for the HOMO-LUMO gap (spin up / spin down) is 6.675 / 6.673 eV. The value obtained for the relative energy (zero: lowest compared OMol25 entry of this formula, charge and spin) is 111.4 kcal/mol. Its charge is 0. The lowest unoccupied orbital energy (spin up / spin down) comes out at -0.621 / -0.621 eV. Its HOMO energy (spin up / spin down) is -7.30 / -7.29 eV. The total energy is -760.8841 a.u.

```
10
Properties=species:S:1:pos:R:3:forces:R:3
C 0.22900 0.50586 0.27272 0.35 3.03 -2.85
C -0.60106 -1.53517 0.98060 -0.09 -2.11 1.37
C 0.42895 1.24505 -0.96678 -2.01 -1.44 1.26
N -0.54970 -2.51073 1.67404 0.86 0.66 -0.70
N -0.03154 0.83767 -2.06630 0.28 -0.53 0.03
O -0.19347 -0.79317 0.13973 -0.25 0.20 -1.04
Cl 0.97967 2.90344 -0.61993 0.23 -0.15 -0.16
H 0.89391 0.77587 0.99975 1.31 -0.30 2.48
H -1.09294 -2.93542 2.38225 -0.87 -0.10 0.38
H -0.06282 1.50661 -2.79607 0.19 0.75 -0.76
```
Positions in Å, forces in eV/Å.

=====

Formula: C3H3ClN2OS
Source: the Open Molecules 2025 dataset
Level of theory: ωB97M-V/def2-TZVPD

The value obtained for the HOMO-LUMO gap is 9.140 eV. The value obtained for the relative energy (zero: lowest compared OMol25 entry of this formula, charge and spin) is 52.5 kcal/mol. Its charge is 0. The lowest unoccupied orbital energy comes out at 0.277 eV. Its HOMO energy is -8.86 eV. The total energy is -1159.1566 a.u. As for the structure (SMILES): On1c(Cl)cnc1S.

```
11
Properties=species:S:1:pos:R:3:forces:R:3
O -0.13551 -1.86295 -0.04103 -0.27 -0.97 -3.05
N -0.12923 -0.50490 -0.20620 1.33 0.22 -0.34
C -1.21838 0.25191 -0.01456 0.66 2.41 0.27
Cl -2.69086 -0.44995 0.06350 -2.22 -0.84 0.22
C -0.81514 1.58153 0.04120 2.02 -1.89 -0.75
N 0.57234 1.57791 -0.16281 -0.49 0.21 0.29
C 0.97236 0.34589 -0.32033 0.58 -1.42 1.84
S 2.65225 -0.38870 0.05457 -1.40 0.75 -0.51
H -0.29094 -2.25337 -1.00236 0.49 1.03 2.81
H -1.31599 2.49755 0.25146 -0.49 0.16 -0.14
H 2.39910 -0.79490 1.33654 -0.21 0.35 -0.64
```
Positions in Å, forces in eV/Å.

----------

11 unconnected molecules or ions with the total composition C98H219Br2N4O2P4 in a non-equilibrium geometry. Source: the Open Molecules 2025 dataset; level of theory: ωB97M-V with the def2-TZVPD basis set.

Geometry as XYZ:
```
329
Properties=species:S:1:pos:R:3:forces:R:3
C 2.974 -3.659 -5.822 0.589 1.806 0.488
C 2.575 -2.771 -6.991 -0.940 -0.545 1.198
C 1.502 -1.844 -6.487 -0.684 0.073 1.135
C 0.869 -1.154 -7.643 -0.205 0.864 -1.680
P -0.293 0.175 -7.221 -0.673 0.516 1.045
C -1.647 0.209 -8.370 -1.163 -0.148 -0.307
C -2.760 1.225 -8.030 -1.560 -0.833 -0.588
C -4.113 0.903 -8.818 1.348 0.662 0.711
C -4.854 -0.264 -8.179 0.174 -1.799 0.057
C -0.833 -0.064 -5.484 -0.823 -0.133 -0.070
C -1.695 -1.304 -5.140 -0.085 -0.046 -0.435
C -1.574 -1.615 -3.662 -0.128 -0.330 0.684
C -2.435 -2.821 -3.220 -0.058 1.120 -0.154
C 0.527 1.800 -7.287 0.694 -0.190 0.894
'''
[So much for the calculated molecules]
Host Institution: GSF National Research Center
Field of Study: Biology
Project Description: The objective of Ms. Liang’s project was to evaluate the requirement of specific factors in dopaminergic neurogenesis in the developing midbrain, which may ultimately be applied in developing a potential therapeutic for neurodegeneration.
John Linford
Home Institution: Virginia Polytechnic Institute (M.S.)
Host Country: Germany
Host Institution: Forschungszentrum Juelich
Field of Study: Computer Science
Project Description: Mr. Linford’s research focused on improving usage applications of supercomputers by implementing and verifying the Extended Controlled Logical Clock for use in the SCALASCA analysis toolkit.
Cau Pham
Home Institution: University of Louisville (Ph.D.)
Host Country: Germany
Host Institution: Phillip-Marburg Universitat
Field of Study: Biology
Project Description: The goal of Mr. Pham’s project was to find ways to counteract a corn pathogen, Ustilago maydis, by studying the molecular activities of its 14-3-3 and Rho1 proteins.
Thomas Smagala
Home Institution: University of California, Davis (Ph.D.)
Host Country: Poland
Host Institution: Maria Curie-Sklodowska University
Field of Study: Chemistry
Project Description: Mr. Smagala modelled chains on surfaces in contact with electrolyte solutions using density functional theory, to improve the understanding of how these charged chains function.
Elena Traister
Home Institution: University of New Hampshire (Ph.D.)
Host Country: Czech Republic
Host Institution: Czech Geological Survey
Field of Study: Environmental Science
Project Description: The goal of Ms. Traister’s project was to determine the effects of past acidification on stream carbon cycling and, study the implications of these effects on biotic communities.
Bettina Weber
Home Institution: University of Missouri-Columbia (Ph.D.)
Host Country:Germany
Host Institution: Max Planck Institute for Colloids and Interfaces
Field of Study: Biology
Project Description: Ms. Weber endeavored to determine the how structural forces affect the bone matter by developing an understanding of the mechanical properties of bone at the nanoscale level.
Mike Wittie
Home Institution: University of California, Santa Barbara (Ph.D.)
Host Country: Poland
Host Institution: Politechnika Warszawska
Field of Study: Computer Science
Project Description: Mr. Wittie’s project involved determining the ideal means of user traffic prioritization in wireless networks on the emerging 802.11e standard.
In 2008, CESRI Program provided seventeen grantees the opportunity to go to Central Europe to conduct their scientific research. After the one-week orientation in Budapest, they went to their host countries. Projects included:
Heather Carpenter
Home Institution: University of California, Davis (Ph.D.)
Host Country: Czech Republic
Host Institution: University of Bohemia
Field of Study: Biology
Project Description: Ms. Carpenter used ISSR analysis to investigate the systematic relationships between various Cyperacea species, specifically focusing on Schoenoplectus californicus.
Ameerah Chowdhury
Home Institution: University of California, San Diego (Ph.D.)
Host Country: Hungary
Host Institution: Hungarian Academy of Sciences
Field of Study:Mathematics
Project Description: Ms. Chowdhury collaborated with the mathematicians in Hungary on complete solutions to the problems posed in my publication, “Colouring Lines in Projective Space.”
Caroline Freitag
Home Institution: Northwestern University (Ph.D.)
Host Country: Germany
Host Institution: Universitätsklinikum Jena
Field of Study:Biology
Project Description: Ms. Freitag was involved in characterization of a novel antibody against the CXCR4 chemokine receptor using a paraffin-embedding immunohistochemical technique.
Erin Girard-Hughes
Home Institution: Stanford University (Ph.D.)
Host Country: Germany
Host Institution: Friedrich-Alexander-University
Field of Study: Engineering
Project Description: Ms. Girard-Hughes investigated the reconstruction algorithms for motion correction in MRI using the heart model.
Alison Golinski
Home Institution: Rutgers University (Ph.D.)
Host Country: Czech Republic
Host Institution: Charles University
Field of Study: Biology
Project Description: Ms. Golinski examined the mechanistic causes of sex differences in trait expression though a compartive study of closely-related species of lizards that have evolved different patterns of sexually dimorphic traits.
Justin Greenough
Home Institution: University of New Hampshire (Ph.D.)
Host Country: Hungary
Host Institution: Institute for Particle and Nuclear Physics
Field of Study: Mathematics
Project Description: The goal of Mr. Greenough’s project was to continue current work in: extending Deligne product of abelian categories to semisimple C-bimodule categories where C is a fusion category; and examining the relation between 1-category truncation of the 2-groupoid of invertible C-bimodule categories and the category of braided autoequivalences of the center of C.
Michael Hamilton
Home Institution: Colorado State University (Ph.D.)
Host Country: Germany
Host Institution: Max Planck Society
Field of Study: Computer Science
Project Description: Mr. Hamilton’s project was to create and apply machine learning algorithms to problems in biology, namely proteomics with the goal of predicting protein interactions, characteristics, and functions.
Abigail Hubbard
Home Institution: University of Arkansas, Fayetteville (Ph.D.)
Host Country: Germany
Host Institution: Universität Regensburg
Field of Study: Chemistry
Project Description: The goal of Ms. Hubbard’s project was to further develop a novel chiral N-heterocyclic carbene catalyst and investigate its applications to cyclopropanation reactions.
Christopher Junker
Home Institution: Wake Forest University (Ph.D.)
Host Country: Slovakia
Host Institution: Comenius University
Field of Study: Chemistry
Project Description: Mr. Junker explored the effects of ultrasound on silicon-substituted dienes in Diels-Alder cycloaddition reactions.
Yann LeCostaouec
Home Institution: Colorado School of Mines (M.S.)
Host Country: Poland
Host Institution: Instytut Informatyki Uniwersytet Jagiellonski
Field of Study: Computer Science
Project Description: The project Mr. LeCostaouec pursued investigated and developed computer graphics algorithms for acquiring feature points of tree-structured organs in CT scans and for finding the tree structures themselves.
Danielle Miller
Home Institution: Wright State University (M.S.)
Host Country: Slovakia
Host Institution: Technical University of Košice
Field of Study: Engineering
Project Description: Ms. Miller’s project is concerned with the development and characterization of an ultra high molecular weight polyethylene for use in total joint replacements.
Raymond Morales
Home Institution: University of Illinois, Urbana-Champaign (Ph.D.)
Host Country: Germany
Host Institution: Friedrich Schiller University of Jena
Field of Study: Biology
Project Description: The goal of Mr. Morales’s project was to study and characterize DNA topoisomerases within the model organism Arabidopsis thaliana.
Mary Nguyen
Home Institution: University of Texas (Ph.D.)
Host Country: Germany
Host Institution: Humboldt University
Field of Study: Engineering
Project Description: Ms. Nguyen worked on development of a synthetic polymer as a biomimetic material with amino acid functionality and potential secondary self-assembly.
Daniel Richter
Home Institution:University of California, Berkeley (Ph.D.)
Host Country: Germany
Host Institution: University of Cologne
Field of Study: Biology
Project Description: The goal of Mr. Richter’s study was to explore the biodiversity and life history of choanoflagellates, the most closely related unicellular relative of animals, in order to understand the evolution of sex and multicellularity.
John Roudebush
Home Institution:University of California, Davis (Ph.D.)
Host Country: Austria
Host Institution: Institute für Festkörperphysik TU Wien
Field of Study: Chemistry
Project Description: Mr. Roudebush worked on new synthetic routes to novel light element, environmentally benign, thermoelectric materials.
Greg Tener
Home Institution:University of Central Florida (Ph.D.)
Host Country: Czech Republic
Host Institution: Charles University
Field of Study: Computer Science
Project Description: Mr. Tener’s project involved parallelization and development of visualizations for a graph isomorphism solution related to an existing problem.
Eric Tyo
Home Institution: Pennsylvania State University (Ph.D.)
Host Country: Czech Republic
Host Institution: Institute of Organic Chemistry and Biochemistry
Field of Study: Chemistry
Project Description: Mr. Tyo undertook a gas phase investigation of magnesium salts with various counter ions, in particular acetate, to find a complex whose ions will separate due to solvation effects for application in the deposition of industrial catalysts.